## Listing
<<<
Record 1
An optimized crystal structure of NaLiEr2S4. Source: Alexandria via LeMat-Bulk, functional PBE.

Cell and atoms, written as extended XYZ:
```
16
Lattice="-2.102 -3.838 6.516 7.257 0.886 2.856 -4.059 6.261 -2.299" Properties=species:S:1:pos:R:3 pbc="T T T"
S 2.936 2.894 2.694
Er -2.030 3.130 -1.150
S 4.895 -0.272 3.871
Er 2.577 -1.476 4.686
Er -3.081 1.211 2.108
Li 0.548 1.655 3.536
S -1.840 0.415 4.379
Na 3.628 0.443 1.428
S -0.818 2.403 1.201
Er -1.051 -1.919 3.258
Na -0.503 -0.264 6.794
S -2.799 5.458 0.078
S 3.895 -2.149 6.995
S -3.800 3.581 3.202
Li -6.161 2.423 4.217
S 1.913 0.906 5.872
```

Properties
DOS(E_F): 0.0000 states/eV/atom
E_tot: -5.453 eV per atom
E_form (uncorrected): -1.84 eV per atom

Record 2
An optimized crystal structure of ScTl2HgS4. Source: Alexandria via LeMat-Bulk, functional PBE.

Cell and atoms, written as extended XYZ:
```
8
Lattice="3.892 0.000 0.000 0.000 7.293 -0.212 0.000 2.504 6.609" Properties=species:S:1:pos:R:3 pbc="T T T"
Hg 1.946 3.646 -0.106
Tl 0.000 2.504 6.609
S 3.892 2.758 1.598
Tl 1.946 1.252 3.304
S 1.946 3.883 4.607
S 1.946 5.914 1.789
Sc 0.000 4.898 3.198
S 0.000 7.039 4.798
```

Properties
DOS(E_F): 0.2354 states/eV/atom
E_tot: -4.173 eV per atom
E_form (uncorrected): -0.69 eV per atom

Record 3
An optimized crystal structure of LaPu2Co9. Source: Alexandria via LeMat-Bulk, functional PBE.

Cell and atoms, written as extended XYZ:
```
12
Lattice="4.966 0.000 0.000 2.483 4.301 0.000 2.483 1.434 8.157" Properties=species:S:1:pos:R:3 pbc="T T T"
Co 3.719 3.587 6.123
Pu 2.483 1.434 4.736
Co 3.719 2.147 2.034
Co 6.213 3.587 6.123
Co 4.966 2.867 0.006
Co 4.966 2.867 4.078
Pu 7.449 4.301 3.421
La 0.000 0.000 0.000
Co 6.213 2.147 2.034
Co 4.966 1.427 6.123
Co 4.966 4.307 2.034
Co 4.966 2.867 8.151
```

Properties
DOS(E_F): 1.8921 states/eV/atom
E_tot: -8.238 eV per atom

Record 4
An optimized crystal structure of Tm5Th3H12. Source: Alexandria via LeMat-Bulk, functional PBE.

Cell and atoms, written as extended XYZ:
```
80
Lattice="11.355 0.000 0.000 -3.785 10.706 0.000 -3.785 -5.353 9.271" Properties=species:S:1:pos:R:3 pbc="T T T"
H -2.059 -4.139 8.687
H 6.900 -3.759 7.928
H -2.059 2.576 5.979
H -4.052 -0.029 7.804
H 1.222 0.716 5.344
H 0.167 3.790 3.877
Tm 1.893 2.676 4.636
H 4.455 -0.716 5.344
Th 6.624 7.360 1.159
Tm -3.785 2.676 4.636
H 2.059 -1.563 5.395
Tm -2.839 6.022 3.477
H 2.160 6.609 0.759
H 1.625 -1.256 8.512
H -1.222 -3.043 6.688
Tm -1.893 5.353 0.000
Tm 0.946 -2.676 6.954
Tm -0.946 2.676 2.318
H 5.007 1.594 1.344
Tm 3.785 -2.676 4.636
Tm 0.946 3.346 8.113
H 3.618 1.563 5.395
H 4.354 4.843 7.219
H -3.115 9.112 1.344
H 1.323 4.199 6.103
H 5.844 9.492 0.585
H -0.267 4.097 0.759
H -0.569 0.509 2.052
H 5.410 5.324 1.467
Th -2.839 2.007 8.113
H -1.323 -0.645 4.051
Tm 4.731 2.676 6.954
Th 0.946 5.353 2.318
H 4.052 -1.285 8.563
Th 6.624 3.346 1.159
H 6.247 -0.509 2.052
Tm 4.731 4.684 3.477
Tm 2.839 2.007 1.159
H -4.455 3.043 6.688
Tm 2.839 8.029 2.318
Tm 0.000 0.000 0.000
H 2.160 4.068 0.708
Th 8.516 0.000 2.318
Th -4.731 5.353 6.954
H 0.569 6.507 6.103
Tm 5.678 0.000 0.000
H -0.267 6.638 0.708
H 2.563 4.637 3.927
H 2.462 1.154 3.168
H 1.726 6.916 3.877
H -2.462 5.862 7.219
Th 0.946 -0.669 3.477
Th 2.839 6.022 5.795
H -3.216 4.708 5.221
Tm 4.731 -3.346 8.113
H 3.216 -1.154 3.168
H 7.838 5.382 1.467
Th -0.946 4.684 5.795
Tm -1.893 -2.676 4.636
H 7.001 0.645 4.051
Tm -0.946 8.698 1.159
H 1.625 1.285 8.563
H 7.403 1.214 0.585
Th 4.731 0.669 3.477
H -1.625 0.029 7.804
H -3.952 7.929 3.292
H -3.618 4.139 8.687
H -0.670 6.069 3.927
H -1.222 3.759 7.928
H 8.240 2.310 2.584
H 5.108 5.997 5.221
H 5.844 2.777 3.292
Th 2.839 0.000 6.954
H 7.737 -2.576 5.979
H 5.007 8.396 2.584
H 4.052 1.256 8.512
Tm 3.785 5.353 0.000
Th -2.839 -2.007 8.113
Tm 6.624 -0.669 5.795
Tm -0.946 0.669 5.795
```

Properties
DOS(E_F): 0.3781 states/eV/atom
E_tot: -4.694 eV per atom

Record 5
An optimized crystal structure of Y2ScReRu. Source: Alexandria via LeMat-Bulk, functional PBE.
>>>

## Request
Now duplicate everything further above character by character.

## Worked solution
Record 1
An optimized crystal structure of NaLiEr2S4. Source: Alexandria via LeMat-Bulk, functional PBE.

Cell and atoms, written as extended XYZ:
```
16
Lattice="-2.102 -3.838 6.516 7.257 0.886 2.856 -4.059 6.261 -2.299" Properties=species:S:1:pos:R:3 pbc="T T T"
S 2.936 2.894 2.694
Er -2.030 3.130 -1.150
S 4.895 -0.272 3.871
Er 2.577 -1.476 4.686
Er -3.081 1.211 2.108
Li 0.548 1.655 3.536
S -1.840 0.415 4.379
Na 3.628 0.443 1.428
S -0.818 2.403 1.201
Er -1.051 -1.919 3.258
Na -0.503 -0.264 6.794
S -2.799 5.458 0.078
S 3.895 -2.149 6.995
S -3.800 3.581 3.202
Li -6.161 2.423 4.217
S 1.913 0.906 5.872
```

Properties
DOS(E_F): 0.0000 states/eV/atom
E_tot: -5.453 eV per atom
E_form (uncorrected): -1.84 eV per atom

Record 2
An optimized crystal structure of ScTl2HgS4. Source: Alexandria via LeMat-Bulk, functional PBE.

Cell and atoms, written as extended XYZ:
```
8
Lattice="3.892 0.000 0.000 0.000 7.293 -0.212 0.000 2.504 6.609" Properties=species:S:1:pos:R:3 pbc="T T T"
Hg 1.946 3.646 -0.106
Tl 0.000 2.504 6.609
S 3.892 2.758 1.598
Tl 1.946 1.252 3.304
S 1.946 3.883 4.607
S 1.946 5.914 1.789
Sc 0.000 4.898 3.198
S 0.000 7.039 4.798
```

Properties
DOS(E_F): 0.2354 states/eV/atom
E_tot: -4.173 eV per atom
E_form (uncorrected): -0.69 eV per atom

Record 3
An optimized crystal structure of LaPu2Co9. Source: Alexandria via LeMat-Bulk, functional PBE.

Cell and atoms, written as extended XYZ:
```
12
Lattice="4.966 0.000 0.000 2.483 4.301 0.000 2.483 1.434 8.157" Properties=species:S:1:pos:R:3 pbc="T T T"
Co 3.719 3.587 6.123
Pu 2.483 1.434 4.736
Co 3.719 2.147 2.034
Co 6.213 3.587 6.123
Co 4.966 2.867 0.006
Co 4.966 2.867 4.078
Pu 7.449 4.301 3.421
La 0.000 0.000 0.000
Co 6.213 2.147 2.034
Co 4.966 1.427 6.123
Co 4.966 4.307 2.034
Co 4.966 2.867 8.151
```

Properties
DOS(E_F): 1.8921 states/eV/atom
E_tot: -8.238 eV per atom

Record 4
An optimized crystal structure of Tm5Th3H12. Source: Alexandria via LeMat-Bulk, functional PBE.

Cell and atoms, written as extended XYZ:
```
80
Lattice="11.355 0.000 0.000 -3.785 10.706 0.000 -3.785 -5.353 9.271" Properties=species:S:1:pos:R:3 pbc="T T T"
H -2.059 -4.139 8.687
H 6.900 -3.759 7.928
H -2.059 2.576 5.979
H -4.052 -0.029 7.804
H 1.222 0.716 5.344
H 0.167 3.790 3.877
Tm 1.893 2.676 4.636
H 4.455 -0.716 5.344
Th 6.624 7.360 1.159
Tm -3.785 2.676 4.636
H 2.059 -1.563 5.395
Tm -2.839 6.022 3.477
H 2.160 6.609 0.759
H 1.625 -1.256 8.512
H -1.222 -3.043 6.688
Tm -1.893 5.353 0.000
Tm 0.946 -2.676 6.954
Tm -0.946 2.676 2.318
H 5.007 1.594 1.344
Tm 3.785 -2.676 4.636
Tm 0.946 3.346 8.113
H 3.618 1.563 5.395
H 4.354 4.843 7.219
H -3.115 9.112 1.344
H 1.323 4.199 6.103
H 5.844 9.492 0.585
H -0.267 4.097 0.759
H -0.569 0.509 2.052
H 5.410 5.324 1.467
Th -2.839 2.007 8.113
H -1.323 -0.645 4.051
Tm 4.731 2.676 6.954
Th 0.946 5.353 2.318
H 4.052 -1.285 8.563
Th 6.624 3.346 1.159
H 6.247 -0.509 2.052
Tm 4.731 4.684 3.477
Tm 2.839 2.007 1.159
H -4.455 3.043 6.688
Tm 2.839 8.029 2.318
Tm 0.000 0.000 0.000
H 2.160 4.068 0.708
Th 8.516 0.000 2.318
Th -4.731 5.353 6.954
H 0.569 6.507 6.103
Tm 5.678 0.000 0.000
H -0.267 6.638 0.708
H 2.563 4.637 3.927
H 2.462 1.154 3.168
H 1.726 6.916 3.877
H -2.462 5.862 7.219
Th 0.946 -0.669 3.477
Th 2.839 6.022 5.795
H -3.216 4.708 5.221
Tm 4.731 -3.346 8.113
H 3.216 -1.154 3.168
H 7.838 5.382 1.467
Th -0.946 4.684 5.795
Tm -1.893 -2.676 4.636
H 7.001 0.645 4.051
Tm -0.946 8.698 1.159
H 1.625 1.285 8.563
H 7.403 1.214 0.585
Th 4.731 0.669 3.477
H -1.625 0.029 7.804
H -3.952 7.929 3.292
H -3.618 4.139 8.687
H -0.670 6.069 3.927
H -1.222 3.759 7.928
H 8.240 2.310 2.584
H 5.108 5.997 5.221
H 5.844 2.777 3.292
Th 2.839 0.000 6.954
H 7.737 -2.576 5.979
H 5.007 8.396 2.584
H 4.052 1.256 8.512
Tm 3.785 5.353 0.000
Th -2.839 -2.007 8.113
Tm 6.624 -0.669 5.795
Tm -0.946 0.669 5.795
```

Properties
DOS(E_F): 0.3781 states/eV/atom
E_tot: -4.694 eV per atom

Record 5
An optimized crystal structure of Y2ScReRu. Source: Alexandria via LeMat-Bulk, functional PBE.